Beyond the Surface
By Tannisha Scarlett
“Did you know that we should all be friends of
the sea?” asked Jerome.
“And what does that mean?” asked Shaun.
“Well, Jerome replied, “I am just sitting here
looking at the water and I noticed that there are so many wonderful things
under the sea that we never try to understand and appreciate, instead, we
destroy them…”
The day was a very hot one, Jerome and Shaun
got very sweaty after a full day of chores so they decided to go for a swim
at Frenchman’s Cove in Portland, which is very near to their homes. Swimming
was one of Jerome’s favourite past-times and it is something he had been
doing ever since he was six years old.
“Why is it that every time we are out here you
start talking to yourself?” asked Shaun, “I am really worried about you.
I think you are going mad.”
“No I’m not going mad;” replied Jerome. “It’s
just that I have been learning so much about the environment, especially
the coastal areas and how we should take care of it but sometimes we who
should be the protectors are not doing our jobs, instead, we are selfish
and don’t really care about anything or anyone else.
“So tell me, what are coastal areas and what
do you mean by ‘we are selfish’?” asked Shaun.
What comes next are records of molecules, not part of the page
-- begin --
An isolated molecule of ClH2O2PS2, computed with wB97M-V/def2-TZVPD.

ORCA input file:
```
! RIJCOSX wB97M-V def2-TZVPD def2/J DEFGRID3
* xyz 0 1
O 0.89218 1.80373 -0.52421
O 2.17264 0.82374 1.34576
P -1.67049 -0.16529 -0.42814
S -0.39658 -0.21729 1.23811
S 1.22815 0.68658 0.29932
Cl 1.83569 -0.58174 -1.15296
H -2.79200 -1.00276 0.36183
H -1.26960 -1.34696 -1.13971
*
```

Output
Calculated total energy: -1749.553752 Eh
M: 164.575 g/mol
Maximum force: 2.92 eV/Å
Orbital gap: 0.3437 Ha
HOMO: -10.10 eV
LUMO: -0.74 eV
SMILES string: O=S(=O)(Cl)SP

***

C42H41Br3IrN6O2P2 as an isolated structure, computed with wB97M-V/def2-TZVPD.

ORCA input file:
```
! RIJCOSX wB97M-V def2-TZVPD def2/J DEFGRID3
* xyz 2 2
Ir -0.16736 0.23596 -0.28904
C -0.38736 -0.25644 3.65676
P -0.52076 0.90966 2.24476
C 1.05834 1.81956 2.48206
N 1.19444 2.64126 3.48096
C 2.29844 3.34346 3.73256
C 2.43884 4.20846 4.81836
C 3.61674 4.89386 5.01576
C 4.68334 4.75026 4.12336
C 4.58364 3.90416 3.04116
C 3.41284 3.17626 2.81826
N 3.25924 2.31576 1.81506
C 2.16374 1.63476 1.61286
P 2.16204 0.52096 0.16646
C 3.14274 1.52546 -1.00084
C 3.35574 -0.86014 0.64436
C 2.68034 -1.68954 1.74256
C 3.54744 -1.65624 -0.65394
C 4.70644 -0.37114 1.15856
C -1.88246 2.12156 2.73826
C -3.14436 1.26046 2.85036
C -1.63476 2.85446 4.04676
C -2.01606 3.10856 1.58206
H -0.27726 0.29016 4.59056
H 0.47604 -0.90394 3.51676
H -1.27966 -0.87954 3.69476
H 1.60554 4.31676 5.49666
H 3.71954 5.54406 5.86986
H 5.59214 5.30546 4.28806
H 5.40134 3.77816 2.34836
H 4.13924 1.67956 -0.58824
H 2.67064 2.49616 -1.14024
H 3.21054 1.01426 -1.96084
H 1.59914 -1.73954 1.60456
H 2.87974 -1.25004 2.71876
H 3.07564 -2.70464 1.75156
H 2.66334 -1.61614 -1.29224
H 3.77174 -2.69754 -0.43524
H 4.37844 -1.25394 -1.22754
H 4.59514 0.27356 2.02786
H 5.27484 0.16406 0.40086
H 5.29534 -1.23784 1.45636
H -3.12286 0.64556 3.74746
H -3.25526 0.61566 1.98076
H -4.02126 1.90156 2.90466
H -1.63596 2.17806 4.89776
H -2.42926 3.58376 4.19726
H -0.68926 3.39466 4.02636
H -2.19566 2.57606 0.64816
H -1.11176 3.70846 1.48146
H -2.85506 3.78046 1.75456
Br 0.52774 5.13736 -0.53644
C 0.09684 4.05426 -2.01614
C -0.10956 4.59956 -3.27464
C -0.35336 3.78106 -4.36034
Br -0.66436 4.57396 -6.04864
C -0.34306 2.36566 -4.22294
C -0.47526 1.45746 -5.28864
C -0.38886 0.10856 -5.04284
C -0.17796 -0.32814 -3.73234
N -0.07986 0.49646 -2.71754
C -0.15676 1.82066 -2.92884
C 0.01854 2.66626 -1.77314
O 0.15774 2.19856 -0.59204
H -0.07756 5.67046 -3.40644
H -0.62916 1.83176 -6.29054
H -0.46976 -0.60684 -5.84374
H -0.07126 -1.38064 -3.51084
Br -0.53246 -5.57534 -6.13064
C -1.74876 -5.57794 -4.67784
C -2.50046 -4.43064 -4.42644
C -3.35546 -4.40224 -3.35594
C -3.47666 -5.52714 -2.50804
C -2.75636 -6.69874 -2.81174
C -1.87926 -6.70724 -3.87094
N -4.24006 -5.49224 -1.39604
N -4.65306 -4.49194 -0.79694
C -4.05066 -3.36364 -0.45264
C -4.83616 -2.21074 -0.23434
C -4.27386 -0.96374 -0.20594
C -2.87096 -0.79214 -0.31024
O -2.29876 0.34976 -0.43474
C -2.04796 -1.96364 -0.27654
-- stop --
“Coastal areas are places that relate to water
or the sea, to be specific, as for the answer to the second question, you
would have to come and dive with me so we can both experience all the things
beyond the surface.”

Shaun was very scared at first because it was
the very first time that he was underwater for such a long time and he realized
that his breathing had changed. After a while he got used to it and started
to enjoy the wonderful but different
world without gravity, a very colorful
and different world from the one in which he lived. He thought it was great.
The sounds were different, in a way that he could not explain.
being under water for a while, Shaun started to mentally put all the things
he saw into groups. First he grouped things that moved… these were all
the fishes, crabs and reptiles. Some examples of the fishes were, parrot,
surgeon, snapper, jellyfish, jack fish, damselfish, wrasse and turtles.
The second category was made up of stationary things; these were corals,
algae and sea grass.
all the fun under-water, the guys returned to the surface and Jerome began
to explain the importance of all they had seen.
in the underwater environment has a role to play in the ecosystem,” he
echo what?” asked Shaun.
laughed and said. “The ecosystem… and I will tell you what that is before
you ask”.
“An ecosystem is an environment
where plants and animals live together and benefit from each others way
of life. All these plants and animals make up our biodiversity.
is biodiversity”? asked Shaun
explained that biodiversity is the short term for biological
diversity, which means all form of life on earth or all of the plants
and animals that we have.
He continued, “Algae grow and provide shelter and food for fish.
Fishes on the other hand help to provide nutrients for the growth of algae.
The corals provide sand for the beaches and they are also the main builders
of coral reefs, which protect our beaches from high-energy waves”.
then started to talk about the turtles.
said, “Turtles are some of the oldest animals on earth. They spend most
of their lives in the sea. However, they do come ashore to lay their eggs
and also feed among the coral reefs and sea grass beds.
do, I didn’t know that”, replied Shaun, “go on”.
feeding in this area, they keep the wetland ecosystems healthy as they
eat sick fishes that would otherwise pass on diseases to healthy fishes
and cause a decline in the fish stock. Also,
because of their beauty and relatively gentle nature they can be approached
quite easily when diving and are attractive to watch”.
“Wow, that’s true, I really enjoy watching them”. Shaun added.
also heard we get our foreign exchange from the use of the coastal areas
of Jamaica. Is that so?”
“Yes it is. But is there anything else you would like to ask me?”
“Believe me Jerome, I have learnt so much today. I can’t begin to
explain, but one thing is for sure, I am going to pass the information
on to someone else because things like this you just cannot keep to yourself.
By the way, I did not know that you were this bright, but thanks anyway!”
“Go away Shaun,” Jerome said jokingly, “but you are welcome,”
With that they went their separate ways.